Majority to get in? The original 13 states all unanimously bound themselves together into the very first compact under the Articles of Confederation. Arguably, the "American Union" was established earlier than that while still colonies under the Articles of Association 1774, the first act of the Continental Congress. All of the states approved the Articles of Confederation. Needed 9 of 13 states (2/3 majority) to ratify the change in form of government from the Articles to the Constitution, and all eventually ratified. Again, unanimous.
_Records of crystals that have nothing to do with the page_
********
{
  "formula": "AcCeSc2",
  "functional": "GGA-PBE",
  "state": "relaxed",
  "lattice_angstrom": [[-1.2865, 3.7379, 0.1838], [-3.6688, -1.2213, -0.8420], [-1.4598, -0.8779, 7.6342]],
  "species": ["Ac", "Ce", "Sc", "Sc"],
  "frac_coords": [[0.5000, 0.5000, 0.5000], [0.5000, 0.5000, 0.0000], [0.0000, 0.0000, 0.7768], [0.0000, 0.0000, 0.2232]],
  "relative_energy_mev_per_atom": 0.0,
  "density_g_cm3": 6.195,
  "delta_e_f_mev_per_atom": 121,
  "volume_a3_per_cell": 122.50
}
********
The first governing laws of the newly created United States of America were the Articles of Confederation and PERPETUAL Union. The intent was clear that the nation was to remain indivisible, permanently one country. The Constitution did not change the nature of the nation, only the form and operation of its federal government. Simply put, there were no terms for "leaving" because there was never to be any leaving. The Founders assumed that the states would check and nullify the federal government if and when it would be necessary, but never to just flat out say "we're leaving!" New England states threatened it early on during the war of 1812 and southern, Virginia led states laughed at such a notion (even Madison and Jefferson decried the claim of "secession"). How ironic that the southern slave states would make the same argument a few decades later after they lost power.
Next to the entry, the page also holds records of crystals.
~~~
A.
Here is crystalline RbFeCuF6 at its relaxed geometry from Alexandria. Energies are from GGA+U.

The structure in extended XYZ format:
```
9
Lattice="-2.150 2.588 4.022 -0.278 -2.252 5.008 5.432 2.450 1.201" Properties=species:S:1:pos:R:3 pbc="T T T"
Rb -0.338 -2.141 5.060
Fe 1.892 1.354 3.621
Cu 1.095 1.452 6.637
F 1.635 -0.061 2.307
F 2.765 2.538 2.340
F 2.362 2.523 4.991
F 3.515 0.313 3.909
F 0.915 0.389 4.997
F 0.329 2.190 3.038
```

space group	P1, No. 1
M_tot	2.00	Bohr magnetons per cell

---

B.
Here is crystalline RbFeCuF6 at its relaxed geometry from Alexandria. Energies are from GGA+U.

The structure in extended XYZ format:
```
18
Lattice="-5.124 -4.383 -3.099 -2.388 -2.201 6.673 0.291 7.151 -1.960" Properties=species:S:1:pos:R:3 pbc="T T T"
Rb -3.073 2.452 1.480
Rb -4.148 -1.884 0.134
Fe 0.000 0.000 0.000
Fe -2.417 1.384 -2.529
Cu 0.146 3.576 -0.980
Cu -1.194 -1.100 3.336
F -1.666 0.291 -1.047
F -6.322 -3.789 1.168
F -3.256 -1.121 3.012
F -4.848 -2.479 -2.835
F -1.695 3.033 -1.801
F -6.117 0.518 0.017
F -5.555 0.277 2.661
F -0.899 4.357 0.446
F -3.965 1.689 -1.398
F -2.373 3.047 4.450
F -5.525 -2.466 3.415
F -1.104 0.050 1.597
```

space group	Imma, No. 74
M_tot	12.00	Bohr magnetons per cell

---

Which of them is the most stable, and which is the least stable? B and A, in that order.

----------

## ZrSc2AlC (PBE-GGA)

Data for ZrSc2AlC after structural relaxation.

- energy of formation (meV/atom) = -583

Cell: 4.4812 4.4812 4.5683 Å, 90.00 90.00 90.00°
Last column: nearest neighbours and their distance in Å.
Sites, in units of the cell vectors:
1 Sc 0.0000 0.5000 0.0000  2 C 2.24
2 Sc 0.5000 0.0000 0.0000  2 C 2.24
3 C 0.0000 0.0000 0.0000  4 Sc 2.24, 2 Zr 2.28
4 Al 0.5000 0.5000 0.5000  4 Zr 3.17, 8 Sc 3.20
5 Zr 0.0000 0.0000 0.5000  2 C 2.28

---

## AlC2Se (PBE-GGA)

Data for AlC2Se after structural relaxation.

- formation energy from raw total energies (eV/atom) = 2.13
- ΔE to the lowest computed polymorph (eV/atom) = 1.104

Cell: 4.0013 4.0013 4.0013 Å, 60.00 60.00 60.00°
Last column: nearest neighbours and their distance in Å.
Sites, in units of the cell vectors:
1 C 0.2500 0.2500 0.2500  4 Se 2.45, 4 Al 2.45
2 C 0.7500 0.7500 0.7500  4 Se 2.45, 4 Al 2.45
3 Al 0.0000 0.0000 0.0000  8 C 2.45
4 Se 0.5000 0.5000 0.5000  8 C 2.45

---

## AlCSe3 (PBE-GGA)

Data for AlCSe3 after structural relaxation.

- formation energy from raw total energies (eV/atom) = 0.92
- ΔE to the lowest computed polymorph (eV/atom) = 0.000

Cell: 4.4267 4.4267 4.4267 Å, 90.00 90.00 90.00°
Last column: nearest neighbours and their distance in Å.
Sites, in units of the cell vectors:
1 C 0.0000 0.0000 0.0000  6 Se 2.21
2 Al 0.5000 0.5000 0.5000  12 Se 3.13
3 Se 0.0000 0.5000 0.0000  2 C 2.21
4 Se 0.0000 0.0000 0.5000  2 C 2.21
5 Se 0.5000 0.0000 0.0000  2 C 2.21

----------

Entry from Alexandria via LeMat-Bulk: crystalline CsRb7Au3 at its relaxed geometry (PBE).

The structure in POSCAR format:
```
CsRb7Au3
1.0
1.268 7.206 6.890
6.311 -1.423 7.657
~~~
Majority to get in? The original 13 states all unanimously bound themselves together into the very first compact under the Articles of Confederation. Arguably, the "American Union" was established earlier than that while still colonies under the Articles of Association 1774, the first act of the Continental Congress. All of the states approved the Articles of Confederation. Needed 9 of 13 states (2/3 majority) to ratify the change in form of government from the Articles to the Constitution, and all eventually ratified. Again, unanimous.
### Here the text breaks off for records of crystals
Entry 1:
{
  "formula": "CuTcNO2",
  "functional": "GGA-PBE",
  "state": "relaxed",
  "e_form_raw_ev_per_fu": -0.72,
  "space_group": "P4/mmm, No. 123",
  "lattice": [[3.8426, 0.0000, 0.0000], [0.0000, 3.8426, 0.0000], [0.0000, 0.0000, 3.8866]],
  "species": ["O", "O", "Tc", "Cu", "N"],
  "fractional_positions": [[0.0000, 0.5000, 0.0000], [0.5000, 0.0000, 0.0000], [0.0000, 0.0000, 0.0000], [0.5000, 0.5000, 0.5000], [0.0000, 0.0000, 0.5000]]
}

---

Entry 2:
{
  "formula": "CuTeNO2",
  "functional": "GGA-PBE",
  "state": "relaxed",
  "e_form_raw_ev_per_fu": 2.44,
  "space_group": "P4/mmm, No. 123",
  "lattice": [[3.7611, 0.0000, 0.0000], [0.0000, 3.7611, 0.0000], [0.0000, 0.0000, 3.9412]],
  "species": ["Te", "O", "O", "Cu", "N"],
  "fractional_positions": [[0.5000, 0.5000, 0.5000], [0.0000, 0.5000, 0.0000], [0.5000, 0.0000, 0.0000], [0.0000, 0.0000, 0.0000], [0.0000, 0.0000, 0.5000]]
}
The first governing laws of the newly created United States of America were the Articles of Confederation and PERPETUAL Union. The intent was clear that the nation was to remain indivisible, permanently one country. The Constitution did not change the nature of the nation, only the form and operation of its federal government. Simply put, there were no terms for "leaving" because there was never to be any leaving. The Founders assumed that the states would check and nullify the federal government if and when it would be necessary, but never to just flat out say "we're leaving!" New England states threatened it early on during the war of 1812 and southern, Virginia led states laughed at such a notion (even Madison and Jefferson decried the claim of "secession"). How ironic that the southern slave states would make the same argument a few decades later after they lost power.